I’ve gotten a bit further in God of War: Ragnarok. I’m still only about halfway through the game, I think, since I’ve been distracted by things like getting adequate sleep, other video games, and a new book release, but I’m enjoying myself. I’ve had a few issues in combat,specifically with the game responding sluggishly to my controller inputs, but I’m also hypersensitive to input lag thanks to my work as a software tester and my sort of high-precision style of gameplay. Other than that, and a couple weird moments where the camera got pushed somewhere useless when I dodge an attack near a wall, it’s been a fun, enjoyable experience. Even when I’ve been fighting some really angry ghosts who keep kicking my ass to the point where I’d just give up on the fight and start over if I got hit a single time before I got said angry ghost to half HP. All-in-all, the game remains just as fun as the first one and while I do miss some of the combat mechanics I used frequently in the prequel, there’s plenty of new and fun combat mechanics for me to use in this one.
A lot of the general gameplay hasn’t really changed all that much from the last game to this one. Most fights still operate the same, aside from a bit of a tweak to how parrying and blocking work. The newer system feels better to use in combat but largely doesn’t change much beyond allowing you to alter the results of your shield’s effects, since you can now equip new shields with their own special abilities. I’m willing to bet the entire system allows for more tailoring to specific combat styles, but I tend to lean pretty heavily on axe, fist, and parry combat, with is sort of the bread-and-butter of the game. It’s fairly plain, but it works well and the variety available to me within that set means I can handle just about anything as long as I’m not mixing up my block/abilities button and my aim button (which happens usually for the first 30 minutes of gameplay as my hands readjust to my PS4 controller after spending a bunch of time playing on my Switch).
The one video game friend I’ve got who is also playing the game is playing on a PS5, so I’ve been able to do a bit of a comparison. Besides the obvious graphical differences, the only real differences I’ve been able to detect is loading time (reloading from death feels like it takes forever in the PS4 version of the game) and my friend reports that he hasn’t had any of the input lag I’ve been feeling. Which doesn’t mean it isn’t there, since it’s very small on PS4 and my friend is not as sensitive to it as I am, but I wouldn’t be surprised if it isn’t there on the PS5. After all, the input lag trips be up because it’s not always present, so I can’t consistently adjusted to whatever timing I should be using, which makes me feel like it’s tied to processing power even if I haven’t really done enough deliberate testing to figure that out.
### Unrelated to this text: records of crystals
# 1
La2PrZn2Si4Ni2 | PBE | relaxed

Summary:
theoretical density = 6.1 g/cm3
energy above the most stable polymorph in this dataset = 0 meV/atom

```
La2PrZn2Si4Ni2
1.0
-2.0875 2.1175 12.0398
2.0875 -2.1175 12.0398
2.0875 2.1175 -12.0398
Si Zn La Ni Pr
4 2 2 2 1
Cartesian
0.0000 0.0000 13.2243
0.0000 2.1175 4.9132
0.0000 0.0000 10.8554
2.0875 0.0000 7.1266
2.0875 0.0000 9.6352
0.0000 2.1175 2.4046
0.0000 2.1175 8.3358
2.0875 0.0000 3.7040
0.0000 0.0000 18.0758
0.0000 0.0000 6.0038
0.0000 0.0000 0.0000
```

# 2
LaPr2Zn2Si4Ni2 | PBE | relaxed

Summary:
theoretical density = 6.1 g/cm3
energy above the most stable polymorph in this dataset = 36 meV/atom

```
LaPr2Zn2Si4Ni2
1.0
-2.0727 2.0874 12.1936
2.0727 -2.0874 12.1936
2.0727 2.0874 -12.1936
Ni Si La Zn Pr
2 4 1 2 2
Cartesian
0.0000 2.0874 2.2814
2.0727 0.0000 9.9122
2.0727 0.0000 7.6253
0.0000 2.0874 4.5683
0.0000 0.0000 13.4232
0.0000 0.0000 10.9640
0.0000 0.0000 0.0000
0.0000 0.0000 6.0925
0.0000 0.0000 18.2947
0.0000 2.0874 8.6709
2.0727 0.0000 3.5227
```

# 3
La2PrZn2Si4Ni2 | PBE | relaxed

Summary:
theoretical density = 6.1 g/cm3
energy above the most stable polymorph in this dataset = 21 meV/atom

```
La2PrZn2Si4Ni2
1.0
-2.0695 2.0951 12.2689
2.0695 -2.0951 12.2689
2.0695 2.0951 -12.2689
Ni Si La Zn Pr
2 4 2 2 1
Cartesian
2.0695 0.0000 9.9626
0.0000 2.0951 2.3063
0.0000 2.0951 4.6165
0.0000 0.0000 11.0504
0.0000 0.0000 13.4875
2.0695 0.0000 7.6524
0.0000 2.0951 8.7276
2.0695 0.0000 3.5414
0.0000 0.0000 18.4082
0.0000 0.0000 6.1297
0.0000 0.0000 0.0000
```

# 4
LaPr2Ni2Sn7 | PBE | relaxed

Summary:
theoretical density = 7.6 g/cm3
energy = -5.084 eV per atom

```
LaPr2Ni2Sn7
1.0
2.3230 -13.8508 0.0000
2.3230 13.8508 0.0000
0.0000 0.0000 4.6210
Ni Sn La Pr
2 7 1 2
Cartesian
2.3230 10.2916 0.0000
2.3230 -10.2916 0.0000
2.3230 -2.5023 0.0000
2.3230 -11.3608 2.3105
2.3230 11.3608 2.3105
2.3230 -7.7963 0.0000
2.3230 0.0000 2.3105
2.3230 2.5023 0.0000
2.3230 7.7963 0.0000
0.0000 0.0000 0.0000
2.3230 5.1274 2.3105
2.3230 -5.1274 2.3105
```
Outside of the core gameplay loop, I feel more invested in GoW: Ragnorak and all the characters therein, to the point of exlaiming my frustrations at certain plot developments. I think this game has an amazing job of giving players the ability to easily meet the characters where they’re at. Though it can sometimes feel a little overbearing, the characters tend to talk to each other a lot more about what’s going on in their minds. Sometimes this is great, like when we get more details about Kratos’ past as he talks to an NPC companion while another is out of earshot. Sometimes it gets a little odious, like when an NPC companion immediately tells you how to solve a puzzle or says something that’s supposed to be a hint but winds up sounding like cryptic nonsense because taking it at face value doesn’t present you with any new information despite them implying it should. It is a blessing and a curse.
Still, I appreciate getting a deeper look into the minds of the characters, even if I’m always reminding myself that these peopel can say whatever they want without necessarily meaning it. I’m a deeply suspicious and slightly paranoid person when it comes to some stuff that happens in this game, because I know the weight of trauma and grief together, and some people seem to be getting over their totally legimitate emotional issues a little bit faster than I think makes sense. That said, there isn’t really a clear understanding of how much time is passing over the course of this game since the characters don’t seem to need sleep (something commented upon in a fun bit of world-exploration companion chatter) and I haven’t been playing consistently enough to get a feel for how many hours pass in-game versus out of game.
Since I’m still at a point where the plot is developing (the characters in-world seem to have just as many theories about what is happening or going to happen as I do), I don’t really have much to say about that. Both Gow: Ragnarok and the newest Pokémon game are huge time-sinks, so I’ve been unable to make as much progress in either as I’d like because I’ve been flip-flopping between them as my gaming time and interest allows. Still, I’m intrigued to see how the story develops from the point I’m at and how all the characters interact along the way. After all, that’s what this game is really about. The plot is fairly basic, but the character work is where the writing truly shines. And, you know, where my interest lies. Can’t wait to see how all these complex relationships turn out.